The end of secure jobs? Of US dominance? Of qualified politicians? Our recent podcasts discussed


By Alex Defroand, Joshua Jacobs, Nelly Mecklenburg, Will Wright, Rebecca TeKolste, and Johannes Sosada

How unprecedented really was the 2016 presidential election? Will humans go the way of horses, losing jobs to robots and artificial intelligence? What does the future of work look like? Does 2016 mark a turning point in the global order and the end of Pax Americana?

In our first ever podcast series, we looked at these questions and more, talking with former presidential candidates, directors of major banks, academics, and journalists as we grappled with the implications of this year in politics and international affairs: Donald Trump’s election; Brexit; the ever-worsening humanitarian catastrophe in Syria; the refugee crisis; and the future of liberalism.

Below you’ll find a summary of our episodes, all of which you can see at this link. Receive future podcasts by subscribing to our iTunesU page.

Howard Dean on the rise of populism

The first episode, recorded three weeks before the election, featured Howard Dean, former governor of Vermont and 2004 candidate for the Democratic presidential nomination. Reflecting on “the most buffoonish election since I entered politics”, Dean presciently warned that Clinton should not succumb to complacency, despite Secretary Clinton’s significant lead in the polls at the time and the appearance that “Donald Trump was preparing to lose but Hillary Clinton was preparing to govern.” “This time they don’t want to reset the table, they just want to kick it over,” Dean said, referencing New Gingrich’s prediction that voters are fed up after eight years of one party in the White House. Making a comparison with Brexit and the rise of far-right populism in Europe, Dean observed: “Globalization has lifted a billion people out of poverty, it is an extraordinary thing. But, there have been people left behind … That’s common across the west and it has to be changed.”

Stephen Roach on jobs stolen by robots

In episode two we turned to other disruptive forces, discussing how technology and artificial intelligence are upending the world of work and destroying jobs. We were joined by Stephen Roach, former chair of Morgan Stanley Asia.

Next to the entry, the page also holds molecular data:
+++
one | Entry from OMol25: a 11-piece molecular cluster, H23O11 overall (the ωB97M-V functional and the def2-TZVPD basis).

The geometry in XYZ format:
```
34
H23O11 the ωB97M-V functional and the def2-TZVPD basis
O -0.73611 -0.45417 4.29158
H -0.49929 -0.08912 3.43385
H -0.05583 -0.05665 4.84984
O 4.44524 1.49442 -1.21190
H 5.19230 0.90042 -1.10642
H 4.55577 2.23017 -0.64107
O 1.30483 -0.54512 -2.91083
H 0.38165 4.00232 0.94011
H 3.08915 0.84386 -0.68277
O -0.62616 -3.53872 -0.39473
H 0.32481 -3.63156 -0.34289
H -2.51669 1.82091 1.50720
O -2.13022 -3.33454 -3.18144
H -3.00420 -3.21401 -2.77968
H -0.93872 -3.25736 -1.25784
O 0.77096 1.02013 1.48901
H 0.18596 1.84309 1.29365
H 2.11794 -0.13199 -3.19567
O -1.10404 -0.63171 1.25616
H 1.00391 -1.26445 -3.46577
O -1.60703 -0.18498 -1.71384
H -2.34522 0.43143 -1.83142
H -1.76037 -0.67427 -2.53534
O -3.13008 1.94005 2.21763
H -1.09830 -1.25863 0.51958
H -2.95041 1.47485 3.03756
O -0.20820 3.24819 0.84894
H 0.17905 0.20500 1.58929
H -1.02563 3.48119 1.30744
O 2.18472 0.55649 -0.37392
H 1.70952 0.12258 -1.10152
H 1.28261 1.01765 0.51256
H -1.59325 -3.22406 -2.38849
H -1.39868 -1.14142 2.02115
```

Summary:
Frontier orbital gap = 0.42630 Eh
Charge = +1

Atomic partial charges in e from the Mulliken method, atoms 1 to 4: -0.6080, 0.2852, 0.3270, -0.6866


two | Entry from OMol25: a 11-piece molecular cluster, H23O11 overall (the ωB97M-V functional and the def2-TZVPD basis).

The geometry in XYZ format:
```
34
H23O11 the ωB97M-V functional and the def2-TZVPD basis
O -0.26691 -2.01519 1.82134
H 0.44182 -3.58826 -0.14166
H 1.98768 -2.81256 0.19402
O -2.66315 1.94909 1.03438
H -0.12866 -1.10995 1.93220
H 0.65515 -2.06377 0.07813
O -0.77190 -4.40598 -0.29663
H -0.30113 1.04980 -0.09075
H 3.38129 2.44671 0.91194
O -0.92871 2.52197 -2.54840
H -1.70616 2.74507 -3.15933
H 2.25730 -1.49295 2.10737
O -3.55943 -1.55850 -0.62977
H 4.28308 1.45114 0.29537
H -2.02105 2.15571 0.47115
O 0.36845 -0.74248 -2.60738
H 0.60889 -0.36145 -3.48859
H -0.12622 -2.45445 2.69031
O 1.12805 -2.81362 -0.42879
H -1.40947 -3.82525 0.11972
O 1.99127 -1.17367 1.34764
H -1.01114 -3.84598 -1.01764
H -2.81944 2.73561 1.54618
O 0.30952 4.20943 2.01246
H 1.77710 -0.33309 1.15493
H -0.59759 4.32780 2.02027
O 0.45271 1.18997 0.57253
H 0.45476 4.98020 1.44025
H 1.10089 1.82873 0.17606
O 3.36672 1.57371 0.43230
H -0.12872 2.78614 -3.10041
H 1.19355 -1.01054 -2.25053
H -4.24790 -0.92440 -1.05724
H -3.07062 -1.41900 -1.54146
```

Summary:
Frontier orbital gap = 0.39779 Eh
Charge = +1

Atomic partial charges in e from the Mulliken method, atoms 1 to 4: -0.5773, 0.5801, 0.5050, -0.5556


three | Entry from OMol25: a 11-piece molecular cluster, H23O11 overall (the ωB97M-V functional and the def2-TZVPD basis).

The geometry in XYZ format:
```
34
H23O11 the ωB97M-V functional and the def2-TZVPD basis
O -1.91267 3.26128 1.53335
H 1.03764 -1.86249 2.36000
H -1.13970 0.27805 1.17924
O -2.67899 -2.73699 1.00747
H -1.91867 3.48940 2.35451
+++
End of the molecular data:

“The hope and dream of the innovation-focused, forward-looking, aggressive-thinking economist is always that we are creative in uncovering new sources of innovation that will replace existing technologies,” Roach said. “We have done that repeatedly since the agrarian societies were replaced by the industrial revolution. And the hope – without any substantial evidence to back it – is that the same thing will happen again this time”

Roach also discussed Donald Trump’s economic outlook, questioning the president-elect’s judgement on the United States’ trade relationship with China. “Blaming China for America’s deficits, for stealing our jobs … [arguing that] if we beat China everything will be all right for America. It’s flawed analysis,” he said. “Yes, we have a gigantic trade deficit with China. But, guess what? We have trade deficits with 101 countries. And the reason we have them is because we don’t save as a nation and we must import surplus savings from abroad to grow and run massive trade deficits to attract the capital.”

[These calculated molecules were left in the text by mistake]
+++
Here is a molecular structure, C15H17F3GdIN2O2PS6Sb from the OMol25 dataset. Energies are from wB97M-V/def2-TZVPD.

The geometry in ORCA input format:
```
! RIJCOSX wB97M-V def2-TZVPD def2/J DEFGRID3
* xyz -2 8
Gd -0.7436 -0.0680 -0.5929
S -2.8249 -4.1962 -2.3190
Sb -3.3337 -2.6305 -0.7189
S -1.2724 -2.3762 0.5751
S -3.1161 -0.4540 -2.0446
F -3.1372 5.0294 3.1873
C -3.3539 4.4332 1.9748
F -4.6710 4.6756 1.7068
F -2.6528 5.1316 1.0907
C -3.0726 2.9627 2.0479
C -3.5610 2.3349 3.1819
C -3.3889 0.9756 3.3711
C -2.7165 0.2841 2.3756
N -2.2601 0.8644 1.2778
C -2.4018 2.1997 1.0538
S -1.7349 2.7580 -0.4213
H -4.0759 2.9285 3.9285
H -3.7560 0.4678 4.2515
H -2.5286 -0.7830 2.4351
C 5.9858 0.2859 1.2423
C 4.4888 0.4510 1.3972
O 3.8566 -0.1848 0.2892
P 2.3414 -0.7582 0.4728
S 1.8304 -1.4912 -1.2641
S 1.2254 0.6339 1.3499
O 2.5528 -1.8923 1.6079
C 3.1219 -3.1606 1.2524
C 2.0500 -4.2272 1.2385
H 6.5109 0.7902 2.0570
H 6.3191 0.7122 0.2952
H 6.2549 -0.7714 1.2538
H 4.2053 1.5065 1.4033
H 4.1440 0.0105 2.3365
H 3.8875 -3.3677 2.0057
H 3.6088 -3.0923 0.2769
H 1.5997 -4.3365 2.2261
H 2.4817 -5.1859 0.9381
H 1.2621 -3.9584 0.5348
I 1.2530 2.1742 -2.6747
C -0.2750 1.0041 -3.5930
C -0.8292 1.4432 -4.7586
C -1.7749 0.5370 -5.3527
C -2.1659 -0.5823 -4.7191
C -1.6950 -0.8649 -3.3438
N -0.5331 -0.1165 -2.9405
H -0.5280 2.3657 -5.2272
H -2.1536 0.7541 -6.3471
H -2.8630 -1.2841 -5.1587
H -1.5606 -1.9315 -3.1596
*
```

E_LUMO (spin up / spin down) in eV: 4.0 / 2.3
<S²>: 16.11

=====

Here is 2 unconnected molecules or ions with the total composition C15H17FN3O5PS from the OMol25 dataset. Energies are from wB97M-V/def2-TZVPD.

The geometry in ORCA input format:
```
! RIJCOSX wB97M-V def2-TZVPD def2/J DEFGRID3
* xyz 0 1
N 2.4837 0.3525 0.4262
C 2.5219 -0.4203 -0.8440
N 3.9470 -0.5412 -1.3334
N 2.1266 -1.8318 -0.4919
C 1.5889 0.2046 -2.0211
C 0.2705 0.9401 -1.4250
C 0.3434 2.4553 -0.9908
P 1.9050 3.5245 -1.1638
S 1.4796 5.4085 -1.5777
C -0.8949 3.1953 -0.3670
C -2.2312 2.4110 -0.1732
C -2.2872 0.9407 -0.6468
C -1.0660 0.1690 -1.2781
C -1.3397 -1.3322 -1.7005
O -0.4798 -2.2272 -1.8721
C -2.8726 -1.7534 -1.9907
C -3.9753 -1.0554 -1.4210
C -3.6587 0.1524 -0.4443
O -4.4128 0.5021 0.5104
H 2.8091 1.3215 0.3207
H 1.5785 0.2900 0.9060
H 4.1870 0.2567 -1.9427
H 3.9131 -1.4070 -1.9115
H 1.2054 -1.7333 -0.0175
H 2.7482 -2.1555 0.2794
H 2.1456 1.0359 -2.6009
H 1.2363 -0.5649 -2.7846
H 2.5384 3.5664 0.1414
H 2.8193 2.9922 -2.1528
H -0.8340 4.2926 -0.0497
H -3.1601 2.8880 0.3079
H -3.0877 -2.6191 -2.7151
H -5.0657 -1.3002 -1.6236
C -1.2820 -1.0930 3.5166
C -0.6307 -1.7204 2.3254
O 0.4460 -2.4407 2.8864
C 0.0395 -2.7809 4.1433
O 0.5672 -3.6142 4.8168
O -1.0488 -2.0575 4.5329
F -0.1286 -0.7751 1.4895
H -0.8162 -0.1452 3.8013
H -2.3505 -0.9282 3.3690
H -1.2778 -2.4028 1.7664
*
```

E_LUMO in eV: -2.0

=====

Here is a molecular structure, C15H17FeNO5S2 from the OMol25 dataset. Energies are from wB97M-V/def2-TZVPD.

The geometry in ORCA input format:
```
+++

Emma Sky on US interventionism

Next, Emma Sky, former advisor to the Commanding General of US Forces in Iraq and Governorate Coordinator of Kirkuk for the Coalition Provisional Authority in 2003-4, discussed what advice she would give President-elect Trump in his approach to the Middle East. “I would tell him, “President Trump, Mosul is not yours to govern” … I would try to help him to understand why Mosul is important, who the different players are, and what sort of role America might be able to play to coordinate some form of political settlement. We must understand the complexity but we do not own it. When we owned Iraq, we collapsed the state and brought about civil war. We brought about the death of 200,00 people. It’s [now] about helping to contribute to an Iraqi political settlement.”

Sky argued that the current state of world politics reflects a shift in the global order. “The old order which provided global security since the end of the Second World War, that era has come to an end,” she said. “We will look back and see the Iraq war – not 9/11 itself but the way we responded to 9/11 – that brought that old order to an end.”

Daniel Magaziner on African rejection of the ICC

In episode four, Professor Daniel Magaziner, an intellectual historian of South Africa, reflected on the recent decisions of various African governments to withdraw from the International Criminal Court. “Because of the history of interventionism and because of the ways in which this term ‘human rights’ has been levied against leaders in the global south that are only a generation or two removed from colonial rule, you are seeing what can now be classified as a retreat from international conventions regarding human rights,” Magaziner explained. “This idea that human rights is some sort of universally-accepted norm that is applied equally and equitably – we have to get rid of that concept.”

Magaziner expressed his particular pain at seeing South Africa’s withdrawal from the ICC. “It hurts with South Africa, not because I’m a great fan of the ICC, not because I think it’s fair or functional, but because I see in that a rejection of the idea that the international community has something to say about what happens in sovereign states. And why that hurts in the South African case is because [the international community] was what kept the ANC alive during the years of its exile.”

Magaziner also discussed the visit of Rwandan president Paul Kagame to deliver Yale’s Coca Cola World Fund lecture. The visit raised questions about the role of historians in challenging the way politicians use the past to justify policies. “History is the ceaseless probing against accumulated narratives. So when someone says to you, this is the history that matters, you should begin by asking, what is left out by that history? When Paul Kagame spoke on campus, there was one history that mattered. It was the history that began with the advent of the genocide in April 1994. There is a lot more that happened before that point … History’s job is to stand at these moments when people are using the past to claim legitimacy for present actions and to trouble that … to say, “look, this is a story, but it’s not the only story. What is to be gained by telling this story?” To be a historian is to be a critic.”

Seyla Benhabib on the refugee crisis and the future of liberalism

In our fifth and final episode, philosopher and political scientist Seyla Benhabib discussed the refugee crisis and the future challenges of democratic liberalism. “I don’t remember being this scared for the fate of democratic liberalism, not even in the time of the Cold War,” she said. “We are seeing the emergence of presidential authoritarianism from within so-called democracies. Transformations in Hungary, Poland, Turkey, India, Singapore, hopefully not the United States but there is some new regime type seems to be emerging. Instead of redefining rules of global cooperation [nation states] are retreating into a regressive nationalism.”

On Turkey’s accession to the European Union, Benhabib said: “It is a situation with very little dignity. It makes refugees into footballs.” Benhabib criticized European leaders, in particular Angela Merkel and Nicholas Sarkozy, for not proceeding with accession negotiations earlier. Yet the fact that the conversation continues is troubling. “What is puzzling about the current situation is that surely President Erodgan knows that Turkey is far from meeting these conditions. So what kind of political game is being played here?”

YJIA would like to extend special thanks to Phil Kearney for his assistance in producing the podcast. Podcast hosts were: Alex Defroand, Joshua Jacobs, Nelly Mecklenburg, Will Wright, Rebecca TeKolste, and Johannes Sosada.